T-shirt sale

Here the piece breaks off for quantum chemistry results:
The following is a DFT calculation (ωB97M-V/def2-TZVPD) of C29H41BrF4MgN6O as an isolated structure at a distorted geometry.

Calculated total energy: -128085.72111 eV
Energy above the lowest of the compared OMol25 structures with the same formula, charge and spin: 0.670 eV
Orbital gap: 7.61 eV

```
83
Properties=species:S:1:pos:R:3:forces:R:3:mulliken_charge:R:1
H -3.00990 5.20286 4.36932 -0.09 0.10 0.09 0.4466
H -6.13450 -1.48914 -3.06028 -0.21 -0.02 0.03 0.5177
H -0.23260 -0.24974 4.26462 -0.06 0.04 0.14 0.3859
H -0.62800 -1.12154 2.78862 -0.11 -0.07 -0.04 0.3298
C 1.99120 1.82676 -3.48368 0.37 0.31 0.05 -1.1449
Br -0.88920 3.04086 -1.37898 -0.08 0.20 0.02 -0.1886
C -0.83580 3.65746 1.38692 0.04 -0.12 -0.15 -0.4970
H -0.69270 -0.97634 -5.28608 0.11 -0.08 0.00 0.6577
C 0.12560 1.47316 0.73582 -0.12 0.44 0.42 0.7174
C 0.19020 -0.81014 3.43532 0.13 0.12 -0.10 -1.8161
C -4.35770 -0.71194 -2.12598 -0.11 -0.06 -0.03 -0.1689
C 0.33700 -4.73844 0.90542 0.18 -0.16 -0.08 -1.3551
C 1.18620 0.04556 2.63972 0.08 -0.23 0.05 2.4989
C -5.06460 -1.41434 -3.09258 0.29 -0.10 -0.07 -0.6629
H 0.09360 -5.13054 1.88892 -0.01 0.00 0.12 0.4632
N 1.39180 -1.41074 -1.65528 -0.54 -0.40 -0.08 0.7364
H 0.62200 5.73856 3.48072 0.11 0.02 0.03 0.3702
H 1.73890 -6.30554 0.51592 0.01 0.03 -0.06 0.3305
C -1.08320 4.42136 3.75392 -0.08 0.12 0.12 2.1058
H -1.15580 4.76346 5.87602 -0.03 0.08 0.08 0.4542
H 1.24840 -5.32834 -1.63268 0.13 0.12 -0.09 0.4149
H 0.98370 -1.32864 0.99822 0.09 -0.05 -0.14 -0.2440
C -2.95900 -1.93194 -4.17488 0.24 0.00 0.07 -0.0542
H -1.16970 1.36156 -4.41658 -0.05 -0.07 -0.05 0.3034
H -0.25610 2.83686 -4.12018 0.06 -0.04 -0.01 0.3888
H 2.99270 -5.19774 -1.27708 -0.12 0.07 -0.12 0.3687
H 1.75750 2.73596 -2.92878 0.00 -0.02 -0.04 0.2710
C -2.20980 -1.17844 -3.23208 -1.28 -0.30 -0.23 -0.0949
N 0.77480 1.05636 -3.69058 0.31 0.41 -0.38 0.5642
H 2.69390 1.23596 -2.89448 0.07 0.03 -0.04 0.3064
C -0.49350 2.70506 0.46062 -0.04 0.12 -0.19 0.2119
O 0.35180 0.64326 -0.23938 0.46 0.21 1.67 0.1480
C 2.35010 0.46516 3.55412 -0.16 0.00 -0.08 -1.8927
H 0.11440 1.84066 -5.54548 0.07 0.03 0.07 0.2956
N 1.96630 -3.43444 -1.24448 -0.96 1.06 -0.23 0.8435
N -0.90990 -0.93214 -3.20928 0.20 -0.23 0.06 0.6937
H -3.06920 3.54546 3.74952 -0.07 -0.07 0.03 0.3625
C -0.10890 -1.15404 -4.37558 -0.07 -0.20 -0.58 -1.3225
C 1.99700 -4.84744 -0.99868 0.08 -1.00 0.50 -1.2419
H -2.88760 4.89876 2.63772 -0.08 0.03 -0.11 0.3636
N 2.70870 -1.49384 -1.55338 0.76 0.72 0.00 -0.5481
H 3.02700 -3.61934 1.12312 0.03 0.13 0.11 0.1534
H -0.42330 -5.09124 0.21162 -0.18 0.02 -0.07 0.3540
C 2.81810 -4.65504 1.37692 -0.10 -0.19 -0.15 -1.2408
C -0.18310 1.81486 -4.48898 -0.34 0.22 -0.11 -1.2930
H 2.45860 2.10016 -4.43918 0.03 -0.02 0.06 0.4009
H 0.32480 3.97376 5.34482 0.17 -0.05 0.07 0.3967
C 0.45380 1.27666 2.10352 0.08 -0.15 -0.33 -0.5129
C -0.58680 3.41496 2.73002 0.02 -0.01 0.00 -0.2821
H -0.78410 6.19206 2.52272 -0.01 0.09 -0.14 0.3230
Mg 0.04220 0.22116 -1.93968 -0.54 0.14 -0.20 -0.1367


The Pendletones 18759.3 80.6 5.22 6.09 6878 1841 358 35 317 710 74 77 41 1433.2 144 24 1565 1161 412 49 116
The Art of Pitching 18534.9 82.8 5.39 5.43 7226 2003 374 34 275 736 72 97 33 1503.2 67 50 1601 1314 439 69 143
SSS Fluke 17749.2 67.2 5.20 5.16 7396 2052 381 35 272 542 78 196 67 1501.1 58 77 1413 1324 433 46 155
One O' Cat 17339.0 75.1 5.33 5.55 6705 1809 389 31 264 751 77 101 44 1365.0 94 70 1422 1219 351 30 147
Cow Ripkens 🐄 17141.9 87.6 5.22 5.24 6859 1796 392 34 272 762 92 95 44 1418.2 112 74 1375 1302 418 57 151
Grumble Grumble 16240.5 14.1 4.71 5.04 6771 1858 335 59 189 559 52 125 44 1503.1 34 70 1371 1349 443 57 141
WAR Horse 🦄 16101.4 102.6 5.06 5.16 6810 1829 379 43 259 575 83 164 60 1312.1 127 48 1200 1214 420 46 131
Seven Sneeze Army 15819.6 105.1 4.51 5.35 6582 1726 352 28 194 544 56 86 37 1471.0 128 48 1412 1333 414 47 148
Bo Hunters 🏹 15109.1 90.6 4.88 4.82 6078 1633 327 35 206 626 48 127 43 1413.0 57 66 1371 1330 396 65 170
Mallard Power 🦆🚂 14855.2 43.2 4.44 4.89 6563 1648 327 37 211 571 74 157 62 1429.0 79 91 1185 1331 430 28 153
Catz 12569.9 37.8 4.70 5.06 5373 1410 278 28 195 511 60 36 21 1092.1 131 18 981 1094 325 33 108
Bednars & Boomsticks 8792.1 4.5 4.59 3.93 4408 1174 237 20 160 371 36 50 21 780.1 3 23 669 839 204 32 103

Recent Points Performance

Next to the text, the page also holds molecular data.
'''
{"formula": "C17H26AuS3Sb", "method": "the ωB97M-V functional and the def2-TZVPD basis", "elements": ["Au", "C", "C", "S", "C", "C", "S", "C", "C", "S", "H", "H", "H", "H", "H", "H", "H", "H", "H", "H", "H", "H", "C", "C", "C", "C", "C", "C", "C", "C", "H", "H", "H", "H", "H", "C", "Sb", "C", "C", "H", "H", "H", "H", "H", "H", "H", "H", "H"], "coordinates": [[-0.575, 0.924, 0.300], [-2.539, -1.921, 0.356], [-3.698, -0.941, 0.411], [-3.302, 0.703, -0.307], [-3.851, 1.877, 0.982], [-3.311, 1.685, 2.383], [-1.478, 1.683, 2.514], [-1.192, 0.202, 3.556], [-1.708, -1.136, 3.049], [-1.058, -1.615, 1.398], [-2.113, -1.949, -0.648], [-2.899, -2.918, 0.611], [-4.081, -0.797, 1.419], [-4.502, -1.351, -0.202], [-4.939, 1.825, 1.012], [-3.563, 2.845, 0.574], [-3.650, 0.749, 2.823], [-3.673, 2.507, 3.004], [-1.640, 0.412, 4.527], [-0.107, 0.178, 3.675], [-2.795, -1.178, 3.007], [-1.365, -1.903, 3.746], [0.155, 0.393, -1.456], [0.477, -0.076, -2.533], [0.872, -0.597, -3.772], [2.217, -0.497, -4.190], [2.610, -1.056, -5.383], [1.674, -1.708, -6.190], [0.339, -1.811, -5.787], [-0.067, -1.255, -4.597], [2.927, 0.034, -3.574], [3.641, -0.975, -5.700], [1.978, -2.111, -7.144], [-0.380, -2.318, -6.415], [-1.101, -1.316, -4.291], [2.965, 2.830, 2.487], [2.347, 1.028, 1.473], [2.969, -0.530, 2.850], [3.803, 0.796, -0.097], [4.007, 2.713, 2.769], [2.357, 2.987, 3.372], [2.857, 3.673, 1.814], [4.039, -0.429, 2.992], [2.748, -1.501, 2.420], [2.464, -0.425, 3.804], [4.789, 0.866, 0.351], [3.675, 1.581, -0.833], [3.674, -0.175, -0.562]], "homo_energy_ev": [-13.43, -14.11], "spin_multiplicity": 3, "orbital_gap_ev": [7.844, 4.986], "total_charge": 2}

---
'''

Team 1-Day 7-Day 30-Day
The Pendletones 80.6 675.6 3,011.6
The Art of Pitching 82.8 697.6 3,082.0
WAR Horse 🦄 102.6 508.0 2,197.7
Bednars & Boomsticks 4.5 169.5 1,011.1
Catz 37.8 422.7 2,033.9
Cow Ripkens 🐄 87.6 554.3 2,780.3
SSS Fluke 67.2 381.8 2,687.4
Bo Hunters 🏹 90.6 651.2 2,242.7
Mallard Power 🦆🚂 43.2 571.6 2,401.2
Grumble Grumble 14.1 356.1 2,348.7
One O' Cat 75.1 519.3 2,570.2
Seven Sneeze Army 105.1 473.9 2,319.1

Games Played and Innings Pitched

Team C 1B 2B SS MI 3B OF Util IP
The Pendletones 162 157 157 163 157 162 801 163 1433.2
The Art of Pitching 163 162 158 156 162 163 796 163 1503.2
WAR Horse 🦄 155 156 156 154 154 161 753 153 1312.1
Bednars & Boomsticks 136 112 110 151 149 117 426 46 780.1
Catz 24 158 152 145 136 143 658 82 1092.1
Cow Ripkens 🐄 162 160 152 153 151 163 766 154 1418.2
SSS Fluke 162 160 160 144 162 163 810 162 1501.1
Bo Hunters 🏹 129 160 147 161 100 152 700 150 1413.0
Mallard Power 🦆🚂 163 160 151 159 154 159 683 143 1429.0
Grumble Grumble 149 161 142 156 155 162 757 159 1503.1
One O' Cat 150 150 137 156 157 157 776 148 1365.0
Seven Sneeze Army 161 142 151 149 157 135 731 138 1471.0

Projected Games Played and Innings Pitched

Projected Games and Innings based on 162 game season

Team Lineups C 1B 2B SS MI 3B OF Util IP
The Pendletones Lineups 163 158 158 164 158 163 807 164 1443.2
The Art of Pitching Lineups 164 163 159 157 163 164 802 164 1514.0
WAR Horse 🦄 Lineups 156 157 157 155 155 162 758 154 1321.1
Bednars & Boomsticks Lineups 137 113 111 152 150 118 429 46 785.2
Catz Lineups 24 159 153 146 137 144 663 83 1100.0
Cow Ripkens 🐄 Lineups 163 161 153 154 152 164 771 155 1428.1
SSS Fluke Lineups 163 161 161 145 163 164 816 163 1511.2
Bo Hunters 🏹 Lineups 130 161 148 162 101 153 705 151 1422.2
Mallard Power 🦆🚂 Lineups 164 161 152 160 155 160 688 144 1439.0
Grumble Grumble Lineups 150 162 143 157 156 163 762 160 1513.2
One O' Cat Lineups 151 151 138 157 158 158 781 149 1374.1
Seven Sneeze Army Lineups 162 143 152 150 158 136 736 139 1481.1

┌──
(1)
The molecule C4H6O2, computed with ωB97M-V with the def2-TZVPD basis set.

HOMO level (eV): -9.21
Energy above the lowest of the compared OMol25 structures with the same formula, charge and spin (eV): 1.9664
Kohn-Sham gap (eV): 10.08

```
12
Properties=species:S:1:pos:R:3:forces:R:3:nbo_charge:R:1
O 0.212 -0.486 3.122 0.0 -0.2 -0.5 -0.50
C 0.053 -0.893 1.998 0.1 0.1 0.3 0.42
O 0.106 -0.514 -0.397 -0.1 0.0 -0.1 -0.51
C -0.357 0.637 -0.964 -0.1 0.2 -0.2 0.13
C -0.779 0.690 -2.221 0.0 0.0 0.1 -0.49
C 0.835 -0.373 0.804 0.1 0.1 0.1 -0.17
H -0.667 -1.702 1.766 0.0 0.1 0.0 0.12
H -0.361 1.511 -0.311 0.0 -0.1 -0.1 0.17
H -0.761 -0.187 -2.859 0.0 0.1 0.1 0.21
H -1.150 1.623 -2.626 0.0 -0.1 0.1 0.21
H 1.748 -0.975 0.697 -0.1 0.1 0.1 0.22
H 1.121 0.669 0.993 0.0 -0.2 0.0 0.20
```
Forces are in eV/Å.



(2)
The molecule C10H18FO3P in a non-equilibrium geometry, computed with ωB97M-V with the def2-TZVPD basis set.

HOMO level (eV): -9.79
Energy above the lowest of the compared OMol25 structures with the same formula, charge and spin (eV): 0.0000
Kohn-Sham gap (eV): 10.73

```
33
Properties=species:S:1:pos:R:3:forces:R:3:nbo_charge:R:1
C 2.923 0.730 -0.960 0.4 0.1 0.2 -0.04
C 2.001 1.158 -0.327 -4.8 1.1 1.3 -0.11
C 4.122 0.251 -1.616 0.0 -0.1 -0.2 -0.69
C 0.993 0.600 2.459 -0.1 0.1 0.0 -0.61
C 1.150 -2.457 0.234 -0.4 0.2 -0.1 -0.64
C -4.116 -0.369 -0.543 0.3 0.3 0.1 -0.63
C 0.359 1.797 1.763 0.0 -0.1 0.1 -0.47
C -0.226 -2.117 -0.315 0.4 -0.7 -0.4 -0.06
C -3.381 0.932 -0.814 -0.7 -0.1 -0.5 -0.06
C 0.290 1.645 0.268 4.3 -0.9 -1.3 0.11
O -0.734 0.258 -1.970 0.2 0.2 -0.1 -1.08
O -0.730 -0.942 0.306 -0.1 1.4 0.0 -0.82
O -2.220 1.057 0.000 1.1 -0.1 0.2 -0.81
F 0.041 2.834 -0.339 -0.1 0.2 0.0 -0.34
P -0.838 0.435 -0.522 -0.8 -0.7 0.6 2.36
H 3.838 -0.269 -2.531 0.2 0.0 -0.1 0.24
H 4.657 -0.440 -0.966 0.1 0.0 -0.1 0.23
H 4.772 1.086 -1.869 0.1 0.0 0.0 0.24
H 1.974 0.398 2.033 0.0 0.0 0.0 0.22
H 1.109 0.806 3.520 0.0 0.0 0.1 0.22
H 0.372 -0.282 2.339 0.0 -0.1 0.1 0.22
H 1.842 -1.651 0.003 0.1 0.0 0.0 0.22
H 1.098 -2.576 1.312 0.1 -0.1 0.2 0.21
H 1.510 -3.381 -0.207 0.1 -0.1 -0.1 0.21
H -3.473 -1.210 -0.789 0.0 -0.1 0.0 0.21
H -4.394 -0.433 0.505 -0.1 -0.1 0.1 0.21
H -5.013 -0.416 -1.156 -0.1 0.0 -0.1 0.22
H -0.658 1.948 2.132 0.0 0.1 0.0 0.23
H 0.938 2.701 1.975 -0.1 -0.1 -0.2 0.23
H -0.942 -2.917 -0.096 0.1 0.1 -0.1 0.18
H -0.182 -1.956 -1.397 -0.1 -0.1 0.2 0.21
H -4.004 1.795 -0.568 0.1 -0.1 -0.1 0.19
H -3.080 0.986 -1.865 -0.1 0.1 0.1 0.20
```
Forces are in eV/Å.



(3)
A structure of composition C7H27B2LiNO, computed with ωB97M-V with the def2-TZVPD basis set.

HOMO level (eV): -5.77
Energy above the lowest of the compared OMol25 structures with the same formula, charge and spin (eV): 0.0000
Kohn-Sham gap (eV): 8.69
Net charge: -1

```
39
Properties=species:S:1:pos:R:3:forces:R:3:nbo_charge:R:1
Li 0.337 0.906 1.036 0.1 0.3 0.4 0.87
B -0.101 2.766 0.029 0.3 0.8 0.0 -0.82
H 1.067 2.996 0.249 0.2 0.0 -0.1 -0.01
H -0.645 3.677 -0.545 -0.1 0.1 -0.2 -0.01
└──
## Here the page continues

  • The Pendletones
  • The Art of Pitching
  • WAR Horse 🦄
  • Bednars & Boomsticks
  • Catz
  • Cow Ripkens 🐄
  • SSS Fluke
  • Bo Hunters 🏹
  • Mallard Power 🦆🚂
  • Grumble Grumble
  • One O' Cat
  • Seven Sneeze Army


  • The Pendletones
  • The Art of Pitching
  • WAR Horse 🦄
  • Bednars & Boomsticks
  • Catz
  • Cow Ripkens 🐄
  • SSS Fluke
  • Bo Hunters 🏹
  • Mallard Power 🦆🚂
  • Grumble Grumble
  • One O' Cat
  • Seven Sneeze Army
